+++
1.
ORCA calculation (ωB97M-V/def2-TZVPD) on a structure of composition C6H15N3O2P at a distorted geometry.

## Properties
Total energy, eV: -24311.76510
Frontier orbital gap, eV: 10.38
Lowest unoccupied orbital energy, eV: -3.7
HOMO energy, eV: -14.0
Net charge: +1

Element x y z (Å)
C  -1.3253  0.5602  1.6462
C  -0.1302  1.2767  2.1693
C  -1.0838  -0.9818  1.4947
C  0.9195  1.4263  1.0501
C  0.1451  -0.7163  -0.0033
C  2.2978  -0.1978  -0.3868
N  -2.3005  -0.4680  -1.4778
N  -0.2176  -1.1206  -2.8639
N  1.2468  0.0545  0.5779
O  -2.4009  1.0898  1.3935
O  -0.1722  1.2380  -1.7912
P  -0.6553  -0.1141  -1.5568
H  -0.2458  2.3783  2.4939
H  0.4634  0.8737  2.9883
H  -0.5240  -1.6159  2.2581
H  -1.9267  -1.5163  0.9869
H  0.5257  1.8923  0.0192
H  1.9153  1.8783  1.2371
H  0.5911  -1.6983  -0.1684
H  2.2627  0.2624  -1.4458
H  3.2888  0.1350  -0.0402
H  2.4047  -1.3348  -0.5998
H  -2.6127  -0.4266  -0.5094
H  -2.9438  -0.5010  -2.2320
H  -1.1561  -1.4676  -3.2583
H  0.1785  -0.5224  -3.4714
H  1.4554  -0.3841  1.4898

natural (NBO) population analysis, charges in e, atoms 1 to 2: 0.541 -0.561

=====

2.
ORCA calculation (ωB97M-V/def2-TZVPD) on a cluster of 19 separate species, C38H114O38 in total at a distorted geometry.

## Properties
Total energy, eV: -119042.75806
Frontier orbital gap, eV: 9.67
Lowest unoccupied orbital energy, eV: 0.1
HOMO energy, eV: -9.6

Element x y z (Å)
C  -7.6537  -4.0199  0.8588
C  -6.4348  -3.6022  1.5933
O  -5.9612  -2.3805  1.1397
O  -8.0824  -5.2617  1.2127
H  -7.3596  -4.1426  -0.1836
H  -8.5800  -3.4457  0.8781
H  -5.6028  -4.3029  1.5236
H  -6.7591  -3.5397  2.6321
H  -5.3925  -2.6228  0.4052
H  -8.4876  -5.6959  0.4585
C  -2.3396  4.8340  0.1151
C  -2.1829  6.1467  -0.6664
O  -3.2733  6.1317  -1.6371
O  -3.5464  4.8931  0.9251
H  -1.3862  4.4728  0.5008
H  -2.6201  4.0230  -0.5569
H  -1.1875  6.2627  -1.0952
H  -2.2904  6.9786  0.0295
H  -4.0171  5.6247  -1.3035
H  -3.6702  4.0214  1.3077
C  6.4053  1.1365  3.4217
C  7.1871  2.5569  3.3849
O  7.1047  3.2341  4.6635
O  5.0308  1.3853  3.5476
H  6.6880  0.4627  4.2305
H  6.6240  0.5708  2.5160
H  6.7704  3.1462  2.5681
H  8.1788  2.4039  2.9592
H  7.9560  3.5999  4.9149
H  4.7103  0.5520  3.9004
C  1.9777  -0.6830  3.4356
C  1.9356  0.3983  4.4833
O  2.9330  0.5080  5.4356
O  2.0497  -1.9564  4.0490
H  2.9202  -0.6930  2.8883
H  1.1189  -0.6346  2.7661
H  1.0477  0.2789  5.1041
H  1.6810  1.3753  4.0724
H  2.4946  0.2953  6.2628
H  1.1404  -2.1659  4.2747
C  1.6755  -8.5541  -2.4069
C  0.8844  -7.7234  -1.3048
O  1.1127  -6.3454  -1.4295
O  3.0425  -8.2867  -2.3365
H  1.4712  -8.1669  -3.4051
H  1.3813  -9.5930  -2.2575
H  1.0976  -8.0493  -0.2867
H  -0.1594  -7.8203  -1.6034
H  1.8797  -6.3073  -2.0056
H  3.3292  -8.7914  -1.5719
C  3.9235  5.1355  5.7353
C  3.1834  4.0462  4.9605
O  3.6813  3.7769  3.6309
O  5.2434  4.8535  6.2281
H  3.3096  5.3830  6.6012
H  3.7638  6.0627  5.1849
H  2.1035  4.1880  5.0050
H  3.1230  3.1297  5.5473
H  4.1612  2.9467  3.6766
H  5.6622  4.3657  5.5151
C  2.9475  5.3642  -3.9005
C  3.1308  4.4156  -5.1429
O  2.1625  4.5919  -6.1954
O  1.9660  4.7089  -3.1118
H  2.7448  6.4134  -4.1155
H  3.6902  5.0405  -3.1713
H  3.0486  3.3543  -4.9082
H  4.1510  4.6845  -5.4165
H  1.2539  4.7759  -5.9460
H  1.2938  4.3308  -3.6835
C  -3.9792  1.7036  1.2968
C  -5.3286  1.0250  1.0825
O  -5.6030  0.2970  2.3331
O  -4.1136  2.7250  2.1792
H  -3.6799  2.2762  0.4189
H  -3.1288  1.0686  1.5450
H  -5.2220  0.6520  0.0639
H  -6.0052  1.8218  0.7736
H  -6.0119  -0.5077  2.0064
H  -4.5564  2.1700  2.8254
C  -0.5563  -2.3217  -3.4953
C  -0.7863  -0.8367  -3.7961
O  -1.8472  -0.3342  -3.0950
O  -1.7938  -3.0188  -3.4152
H  0.1240  -2.3643  -2.6448
H  0.0124  -2.7398  -4.3260
H  -0.9002  -0.5536  -4.8425
H  0.1282  -0.3989  -3.3958
H  -2.3588  0.3155  -3.5826
H  -2.3254  -2.3573  -2.9664
C  -4.4334  1.9777  -2.5330
C  -4.7439  1.8565  -4.0358
O  -3.5539  2.0840  -4.7864
O  -4.7238  3.2758  -2.0246
H  -3.5289  1.5524  -2.0983
+++
Your job: count the lines earlier on that contain the word "charges" and give the number alone.
1